Could you repeat the whole of the block below without additions?

Record 1
SbPd3 | meta-GGA r2SCAN | optimized geometry

The structure in POSCAR format:
```
SbPd3
1.0
0.000 3.194 3.194
3.194 0.000 3.194
3.194 3.194 0.000
Sb Pd
1 3
direct
0.000 0.000 0.000
0.250 0.250 0.250
0.500 0.500 0.500
0.750 0.750 0.750
```

Values from the calculation:
* energy of formation: -0.3700 eV/atom
* size of the total moment: 0.0 μB/cell
* theoretical density: 11.24 g/cm3


Record 2
Sb3Pd8 | meta-GGA r2SCAN | optimized geometry

The structure in POSCAR format:
```
Sb3Pd8
1.0
3.833 2.213 14.495
-3.833 2.213 14.495
0.000 -4.426 14.495
Sb Pd
12 32
direct
0.000 0.000 0.000
0.068 0.750 0.432
0.158 0.158 0.158
0.250 0.568 0.932
0.342 0.342 0.342
0.432 0.068 0.750
0.500 0.500 0.500
0.568 0.932 0.250
0.658 0.658 0.658
0.750 0.432 0.068
0.842 0.842 0.842
0.932 0.250 0.568
0.012 0.293 0.643
0.061 0.061 0.061
0.116 0.371 0.856
0.129 0.384 0.644
0.143 0.793 0.512
0.144 0.884 0.629
0.207 0.488 0.857
0.219 0.219 0.219
0.281 0.281 0.281
0.293 0.643 0.012
0.356 0.871 0.616
0.357 0.988 0.707
0.371 0.856 0.116
0.384 0.644 0.129
0.439 0.439 0.439
0.488 0.857 0.207
0.512 0.143 0.793
0.561 0.561 0.561
0.616 0.356 0.871
0.629 0.144 0.884
0.643 0.012 0.293
0.644 0.129 0.384
0.707 0.357 0.988
0.719 0.719 0.719
0.781 0.781 0.781
0.793 0.512 0.143
0.856 0.116 0.371
0.857 0.207 0.488
0.871 0.616 0.356
0.884 0.629 0.144
0.939 0.939 0.939
0.988 0.707 0.357
```

Values from the calculation:
* energy of formation: -0.4478 eV/atom
* size of the total moment: 0.0 μB/cell
* theoretical density: 10.95 g/cm3


Which formula does entry 2 have? Sb3Pd8


# 1
Na2SnPCO7 | PBE | relaxed

Crystal system: monoclinic
ΔE_f (eV/atom): -2.216
Symmetry: P2_1/m (11)
Magnetization (μB/f.u.): 0.00
Energy above the most stable polymorph in this dataset (meV per atom): 0

Lattice parameters (Å, degrees): 5.321 6.877 9.199 90.00 92.67 90.00
Positions (direct):
Na: 0.235 0.004 0.221
Na: 0.235 0.496 0.221
Na: 0.765 0.504 0.779
Na: 0.765 0.996 0.779
Sn: 0.219 0.250 0.635
Sn: 0.781 0.750 0.365
P: 0.287 0.750 0.587
P: 0.713 0.250 0.413
C: 0.273 0.250 0.928
C: 0.727 0.750 0.072
O: 0.053 0.250 0.854
O: 0.177 0.569 0.663
O: 0.177 0.931 0.663
O: 0.201 0.750 0.420
O: 0.290 0.250 0.065
O: 0.421 0.250 0.401
O: 0.471 0.250 0.847
O: 0.529 0.750 0.153
O: 0.579 0.750 0.599
O: 0.710 0.750 0.935
O: 0.799 0.250 0.580
O: 0.823 0.069 0.337
O: 0.823 0.431 0.337
O: 0.947 0.750 0.146

# 2
Na2SnPCO7 | PBE | relaxed

Crystal system: monoclinic
ΔE_f (eV/atom): -2.196
Symmetry: P2_1 (4)
Magnetization (μB/f.u.): 0.01
Energy above the most stable polymorph in this dataset (meV per atom): 20

Lattice parameters (Å, degrees): 5.577 6.915 9.144 90.00 93.40 90.00
Positions (direct):
Na: 0.224 0.000 0.083
Na: 0.260 0.276 0.727
Na: 0.740 0.776 0.273
Na: 0.776 0.500 0.917
Sn: 0.216 0.480 0.341
Sn: 0.784 0.980 0.659
P: 0.275 0.989 0.419
P: 0.725 0.489 0.581
C: 0.312 0.494 0.051
C: 0.688 0.994 0.949
O: 0.089 0.481 0.093
O: 0.156 0.012 0.566
O: 0.176 0.814 0.324
O: 0.220 0.165 0.314
O: 0.362 0.471 0.919
O: 0.449 0.464 0.551
O: 0.480 0.527 0.156
O: 0.520 0.027 0.844
O: 0.551 0.964 0.449
O: 0.638 0.971 0.081
O: 0.780 0.665 0.686
O: 0.824 0.314 0.676
O: 0.844 0.512 0.434
O: 0.911 0.981 0.907

# 3
Na2TiPCO7 | PBE | relaxed

Crystal system: monoclinic
ΔE_f (eV/atom): -2.551
Symmetry: P2_1/m (11)
Magnetization (μB/f.u.): 1.00

Lattice parameters (Å, degrees): 5.290 6.557 9.064 90.00 90.29 90.00
Positions (direct):
Na: 0.236 0.002 0.269
Na: 0.236 0.498 0.269
Na: 0.764 0.502 0.731
Na: 0.764 0.998 0.731
Ti: 0.220 0.250 0.848
Ti: 0.780 0.750 0.152
P: 0.292 0.750 0.926
P: 0.708 0.250 0.074
C: 0.272 0.250 0.573
C: 0.728 0.750 0.427
O: 0.052 0.250 0.642
O: 0.157 0.750 0.077
O: 0.212 0.557 0.837
O: 0.212 0.943 0.837
O: 0.291 0.250 0.435
O: 0.415 0.250 0.054
O: 0.467 0.250 0.665
O: 0.533 0.750 0.335
O: 0.585 0.750 0.946
O: 0.709 0.750 0.565
O: 0.788 0.057 0.163
O: 0.788 0.443 0.163
O: 0.843 0.250 0.923
O: 0.948 0.750 0.358

# 4
Na3TlPCO7 | PBE | relaxed

Crystal system: monoclinic
ΔE_f (eV/atom): -2.121

Record 1
SbPd3 | meta-GGA r2SCAN | optimized geometry

The structure in POSCAR format:
```
SbPd3
1.0
0.000 3.194 3.194
3.194 0.000 3.194
3.194 3.194 0.000
Sb Pd
1 3
direct
0.000 0.000 0.000
0.250 0.250 0.250
0.500 0.500 0.500
0.750 0.750 0.750
```

Values from the calculation:
* energy of formation: -0.3700 eV/atom
* size of the total moment: 0.0 μB/cell
* theoretical density: 11.24 g/cm3


Record 2
Sb3Pd8 | meta-GGA r2SCAN | optimized geometry

The structure in POSCAR format:
```
Sb3Pd8
1.0
3.833 2.213 14.495
-3.833 2.213 14.495
0.000 -4.426 14.495
Sb Pd
12 32
direct
0.000 0.000 0.000
0.068 0.750 0.432
0.158 0.158 0.158
0.250 0.568 0.932
0.342 0.342 0.342
0.432 0.068 0.750
0.500 0.500 0.500
0.568 0.932 0.250
0.658 0.658 0.658
0.750 0.432 0.068
0.842 0.842 0.842
0.932 0.250 0.568
0.012 0.293 0.643
0.061 0.061 0.061
0.116 0.371 0.856
0.129 0.384 0.644
0.143 0.793 0.512
0.144 0.884 0.629
0.207 0.488 0.857
0.219 0.219 0.219
0.281 0.281 0.281
0.293 0.643 0.012
0.356 0.871 0.616
0.357 0.988 0.707
0.371 0.856 0.116
0.384 0.644 0.129
0.439 0.439 0.439
0.488 0.857 0.207
0.512 0.143 0.793
0.561 0.561 0.561
0.616 0.356 0.871
0.629 0.144 0.884
0.643 0.012 0.293
0.644 0.129 0.384
0.707 0.357 0.988
0.719 0.719 0.719
0.781 0.781 0.781
0.793 0.512 0.143
0.856 0.116 0.371
0.857 0.207 0.488
0.871 0.616 0.356
0.884 0.629 0.144
0.939 0.939 0.939
0.988 0.707 0.357
```

Values from the calculation:
* energy of formation: -0.4478 eV/atom
* size of the total moment: 0.0 μB/cell
* theoretical density: 10.95 g/cm3


Which formula does entry 2 have? Sb3Pd8


# 1
Na2SnPCO7 | PBE | relaxed

Crystal system: monoclinic
ΔE_f (eV/atom): -2.216
Symmetry: P2_1/m (11)
Magnetization (μB/f.u.): 0.00
Energy above the most stable polymorph in this dataset (meV per atom): 0

Lattice parameters (Å, degrees): 5.321 6.877 9.199 90.00 92.67 90.00
Positions (direct):
Na: 0.235 0.004 0.221
Na: 0.235 0.496 0.221
Na: 0.765 0.504 0.779
Na: 0.765 0.996 0.779
Sn: 0.219 0.250 0.635
Sn: 0.781 0.750 0.365
P: 0.287 0.750 0.587
P: 0.713 0.250 0.413
C: 0.273 0.250 0.928
C: 0.727 0.750 0.072
O: 0.053 0.250 0.854
O: 0.177 0.569 0.663
O: 0.177 0.931 0.663
O: 0.201 0.750 0.420
O: 0.290 0.250 0.065
O: 0.421 0.250 0.401
O: 0.471 0.250 0.847
O: 0.529 0.750 0.153
O: 0.579 0.750 0.599
O: 0.710 0.750 0.935
O: 0.799 0.250 0.580
O: 0.823 0.069 0.337
O: 0.823 0.431 0.337
O: 0.947 0.750 0.146

# 2
Na2SnPCO7 | PBE | relaxed

Crystal system: monoclinic
ΔE_f (eV/atom): -2.196
Symmetry: P2_1 (4)
Magnetization (μB/f.u.): 0.01
Energy above the most stable polymorph in this dataset (meV per atom): 20

Lattice parameters (Å, degrees): 5.577 6.915 9.144 90.00 93.40 90.00
Positions (direct):
Na: 0.224 0.000 0.083
Na: 0.260 0.276 0.727
Na: 0.740 0.776 0.273
Na: 0.776 0.500 0.917
Sn: 0.216 0.480 0.341
Sn: 0.784 0.980 0.659
P: 0.275 0.989 0.419
P: 0.725 0.489 0.581
C: 0.312 0.494 0.051
C: 0.688 0.994 0.949
O: 0.089 0.481 0.093
O: 0.156 0.012 0.566
O: 0.176 0.814 0.324
O: 0.220 0.165 0.314
O: 0.362 0.471 0.919
O: 0.449 0.464 0.551
O: 0.480 0.527 0.156
O: 0.520 0.027 0.844
O: 0.551 0.964 0.449
O: 0.638 0.971 0.081
O: 0.780 0.665 0.686
O: 0.824 0.314 0.676
O: 0.844 0.512 0.434
O: 0.911 0.981 0.907

# 3
Na2TiPCO7 | PBE | relaxed

Crystal system: monoclinic
ΔE_f (eV/atom): -2.551
Symmetry: P2_1/m (11)
Magnetization (μB/f.u.): 1.00

Lattice parameters (Å, degrees): 5.290 6.557 9.064 90.00 90.29 90.00
Positions (direct):
Na: 0.236 0.002 0.269
Na: 0.236 0.498 0.269
Na: 0.764 0.502 0.731
Na: 0.764 0.998 0.731
Ti: 0.220 0.250 0.848
Ti: 0.780 0.750 0.152
P: 0.292 0.750 0.926
P: 0.708 0.250 0.074
C: 0.272 0.250 0.573
C: 0.728 0.750 0.427
O: 0.052 0.250 0.642
O: 0.157 0.750 0.077
O: 0.212 0.557 0.837
O: 0.212 0.943 0.837
O: 0.291 0.250 0.435
O: 0.415 0.250 0.054
O: 0.467 0.250 0.665
O: 0.533 0.750 0.335
O: 0.585 0.750 0.946
O: 0.709 0.750 0.565
O: 0.788 0.057 0.163
O: 0.788 0.443 0.163
O: 0.843 0.250 0.923
O: 0.948 0.750 0.358

# 4
Na3TlPCO7 | PBE | relaxed

Crystal system: monoclinic
ΔE_f (eV/atom): -2.121